What to do
Now repeat the contents further below from the first line to the one with "0.554" without additions.

Excerpt
=====
1.
Computed, not measured: C36H44BCl2F4IrN3O3P as an isolated structure, with wB97M-V/def2-TZVPD.

Element x y z (Å)
Ir: -0.518 -0.524 -0.514
Cl: -2.107 -5.014 1.432
C: -3.141 -3.802 0.771
C: -4.528 -3.949 0.853
C: -5.370 -2.982 0.366
Cl: -7.076 -3.177 0.538
C: -4.846 -1.817 -0.242
C: -5.623 -0.774 -0.790
C: -4.995 0.319 -1.324
C: -3.594 0.370 -1.342
N: -2.849 -0.598 -0.857
C: -3.444 -1.679 -0.306
C: -2.550 -2.678 0.185
O: -1.274 -2.527 0.068
H: -4.939 -4.835 1.316
H: -6.700 -0.860 -0.785
H: -5.560 1.144 -1.733
H: -3.083 1.228 -1.754
C: 2.782 -4.526 -0.612
C: 1.770 -3.583 -1.264
C: 0.428 -4.294 -1.462
P: 1.537 -1.942 -0.395
C: 2.028 -1.981 1.390
C: 3.500 -2.172 1.751
C: 1.112 -2.942 2.151
C: 2.786 -0.915 -1.222
C: 4.057 -1.360 -1.542
C: 4.947 -0.583 -2.280
C: 6.305 -1.090 -2.652
C: 4.508 0.672 -2.724
C: 3.252 1.132 -2.427
C: 2.357 0.356 -1.651
N: 1.075 0.737 -1.438
C: 0.600 1.986 -1.745
C: -0.452 2.110 -2.710
C: -0.956 0.925 -3.490
C: -0.949 3.361 -2.988
C: -0.474 4.504 -2.339
C: -1.045 5.847 -2.656
C: 0.532 4.364 -1.383
C: 1.087 3.145 -1.068
C: 2.088 3.030 0.042
H: 3.141 -5.230 -1.363
H: 2.315 -5.100 0.187
H: 3.645 -4.008 -0.201
H: 2.137 -3.279 -2.248
H: 0.043 -4.667 -0.514
H: 0.553 -5.139 -2.142
H: -0.319 -3.623 -1.882
H: 1.775 -0.957 1.668
H: 3.803 -3.219 1.745
H: 3.637 -1.799 2.766
H: 4.160 -1.595 1.104
H: 1.336 -3.982 1.908
H: 0.066 -2.757 1.908
H: 1.252 -2.809 3.225
H: 4.374 -2.346 -1.229
H: 6.582 -1.964 -2.067
H: 7.059 -0.316 -2.516
H: 6.318 -1.369 -3.709
H: 5.171 1.275 -3.332
H: 2.915 2.084 -2.817
H: -0.207 0.592 -4.212
H: -1.865 1.186 -4.028
H: -1.177 0.071 -2.846
H: -1.737 3.463 -3.723
H: -1.907 5.763 -3.313
H: -0.297 6.475 -3.143
H: -1.353 6.354 -1.740
H: 0.870 5.248 -0.854
H: 2.186 3.985 0.554
H: 3.072 2.737 -0.321
H: 1.762 2.278 0.763
O: 1.182 0.982 2.120
C: 0.090 0.515 2.405
O: -0.702 -0.188 1.700
C: -0.468 0.695 3.852
N: -1.973 0.691 3.766
C: -2.486 1.888 4.493
C: -1.351 2.893 4.362
C: -0.092 2.029 4.499
H: -0.119 -0.159 4.430
H: -2.385 -0.178 4.095
H: -2.208 0.768 2.755
H: -2.658 1.625 5.537
H: -3.416 2.221 4.041
H: -1.409 3.661 5.130
H: -1.381 3.368 3.383
H: 0.175 1.884 5.546
H: 0.764 2.456 3.980
F: -1.374 1.770 -0.065
B: -2.324 2.608 0.619
F: -2.995 1.777 1.571
F: -3.219 3.111 -0.304
F: -1.640 3.607 1.292

charge = +1
Kohn-Sham gap (spin up / spin down) = 4.384 / 4.201 eV
E_tot = -97378.576 eV
multiplicity = 2
HOMO energy (spin up / spin down) = -0.358 / -0.358 hartree


2.
Computed, not measured: C36H44BrN4S2Si2Sn as an isolated structure, with wB97M-V/def2-TZVPD.

Element x y z (Å)
Sn: -1.610 0.361 -0.201
C: -3.439 2.942 -2.111
Si: -2.922 1.465 -3.175
C: -1.086 1.560 -3.645
C: -3.942 1.421 -4.771
N: -2.962 0.140 -2.002
C: -3.467 -1.077 -2.100
C: -4.206 -1.529 -3.233
C: -4.777 -2.751 -3.255
C: -4.619 -3.642 -2.161
C: -3.881 -3.281 -1.089
C: -3.252 -2.006 -1.005
N: -2.442 -1.648 -0.009
Si: -2.011 -2.787 1.320
C: -1.115 -4.261 0.517
C: -0.780 -1.941 2.470
C: -3.616 -3.077 2.291
H: -3.458 3.870 -2.697
H: -2.736 3.093 -1.277
H: -4.437 2.781 -1.670
H: -0.903 2.395 -4.344
H: -0.744 0.636 -4.127
H: -0.445 1.722 -2.765
H: -3.812 2.400 -5.258
H: -5.018 1.271 -4.595
H: -3.601 0.662 -5.483
H: -4.330 -0.861 -4.072
H: -5.366 -3.053 -4.114
H: -5.078 -4.619 -2.187
H: -3.756 -3.980 -0.275
H: -0.304 -3.880 -0.112
H: -1.758 -4.894 -0.105
H: -0.661 -4.904 1.284
H: 0.185 -1.737 1.982
H: -0.588 -2.587 3.340
H: -1.162 -0.985 2.865
H: -4.366 -3.670 1.759
H: -4.054 -2.098 2.533
H: -3.393 -3.580 3.246
S: 0.450 1.312 1.829
C: 1.905 1.323 1.040
N: 2.985 1.902 1.533
C: 4.177 2.018 0.707
C: 3.736 2.317 -0.708
N: 2.869 1.240 -1.163
C: 3.102 0.718 -2.515
C: 4.424 0.006 -2.550
C: 4.570 -1.194 -1.858
C: 5.795 -1.829 -1.814
C: 6.889 -1.271 -2.472
C: 6.749 -0.080 -3.166
C: 5.514 0.556 -3.204
C: 2.027 0.685 -0.320
S: 1.153 -0.682 -0.665
C: 3.046 2.351 2.925
C: 3.474 1.222 3.833
C: 4.819 0.935 4.026
C: 5.201 -0.120 4.833
C: 4.241 -0.906 5.449
C: 2.898 -0.623 5.271
C: 2.516 0.439 4.465
H: 4.765 1.100 0.750
H: 4.790 2.823 1.104
=====

Here it is
1.
Computed, not measured: C36H44BCl2F4IrN3O3P as an isolated structure, with wB97M-V/def2-TZVPD.

Element x y z (Å)
Ir: -0.518 -0.524 -0.514
Cl: -2.107 -5.014 1.432
C: -3.141 -3.802 0.771
C: -4.528 -3.949 0.853
C: -5.370 -2.982 0.366
Cl: -7.076 -3.177 0.538
C: -4.846 -1.817 -0.242
C: -5.623 -0.774 -0.790
C: -4.995 0.319 -1.324
C: -3.594 0.370 -1.342
N: -2.849 -0.598 -0.857
C: -3.444 -1.679 -0.306
C: -2.550 -2.678 0.185
O: -1.274 -2.527 0.068
H: -4.939 -4.835 1.316
H: -6.700 -0.860 -0.785
H: -5.560 1.144 -1.733
H: -3.083 1.228 -1.754
C: 2.782 -4.526 -0.612
C: 1.770 -3.583 -1.264
C: 0.428 -4.294 -1.462
P: 1.537 -1.942 -0.395
C: 2.028 -1.981 1.390
C: 3.500 -2.172 1.751
C: 1.112 -2.942 2.151
C: 2.786 -0.915 -1.222
C: 4.057 -1.360 -1.542
C: 4.947 -0.583 -2.280
C: 6.305 -1.090 -2.652
C: 4.508 0.672 -2.724
C: 3.252 1.132 -2.427
C: 2.357 0.356 -1.651
N: 1.075 0.737 -1.438
C: 0.600 1.986 -1.745
C: -0.452 2.110 -2.710
C: -0.956 0.925 -3.490
C: -0.949 3.361 -2.988
C: -0.474 4.504 -2.339
C: -1.045 5.847 -2.656
C: 0.532 4.364 -1.383
C: 1.087 3.145 -1.068
C: 2.088 3.030 0.042
H: 3.141 -5.230 -1.363
H: 2.315 -5.100 0.187
H: 3.645 -4.008 -0.201
H: 2.137 -3.279 -2.248
H: 0.043 -4.667 -0.514
H: 0.553 -5.139 -2.142
H: -0.319 -3.623 -1.882
H: 1.775 -0.957 1.668
H: 3.803 -3.219 1.745
H: 3.637 -1.799 2.766
H: 4.160 -1.595 1.104
H: 1.336 -3.982 1.908
H: 0.066 -2.757 1.908
H: 1.252 -2.809 3.225
H: 4.374 -2.346 -1.229
H: 6.582 -1.964 -2.067
H: 7.059 -0.316 -2.516
H: 6.318 -1.369 -3.709
H: 5.171 1.275 -3.332
H: 2.915 2.084 -2.817
H: -0.207 0.592 -4.212
H: -1.865 1.186 -4.028
H: -1.177 0.071 -2.846
H: -1.737 3.463 -3.723
H: -1.907 5.763 -3.313
H: -0.297 6.475 -3.143
H: -1.353 6.354 -1.740
H: 0.870 5.248 -0.854
H: 2.186 3.985 0.554